One-Third Of UK Horses Are Lame, Survey Finds
One-third of the horses in the United Kingdom are lame, according to the recently released National Equine Health Survey.
**Records of molecules, kept here for reference**
-- begin --
ORCA calculation (ωB97M-V/def2-TZVPD) on the molecule C2H4P4 in a non-equilibrium geometry.

Calculated values
SMILES: C=P#[PH]C1=PP1
E_HOMO: -8.47 eV
F_max: 2.90 eV/A
Molecular weight: 152.0 g/mol

Geometry as XYZ:
```
10
Properties=species:S:1:pos:R:3:forces:R:3:nbo_charge:R:1
C -1.13272 1.88967 -0.18170 0.1 1.2 -2.7 -0.854
C 0.12147 -0.90299 0.30373 2.1 -1.0 -1.1 -1.094
P -1.61446 -0.90146 0.26004 -1.6 -2.1 -0.2 0.333
P 1.35871 -1.54569 -0.63069 -0.8 -0.5 -0.4 0.454
P -1.32596 0.61479 -1.25605 0.1 1.3 -0.1 0.479
P 1.60806 0.06140 0.74232 -0.2 1.1 0.2 0.309
H -0.87758 2.93090 -0.57273 -0.3 -1.6 0.6 0.238
H -1.35383 1.81511 0.83804 -0.1 0.0 1.5 0.206
H -1.78353 -2.17467 -0.64521 0.3 1.9 1.1 -0.011
H 2.02281 -0.80435 1.72918 0.4 -0.2 1.1 -0.061
```
Positions in Å, forces in eV/Å.

ORCA calculation (ωB97M-V/def2-TZVPD) on the molecule C2H4P4 in a non-equilibrium geometry.

Calculated values
SMILES: C=P#[PH]C1=PP1
E_HOMO: -8.42 eV
F_max: 2.61 eV/A
Molecular weight: 152.0 g/mol

Geometry as XYZ:
```
10
Properties=species:S:1:pos:R:3:forces:R:3:nbo_charge:R:1
C 1.76240 -1.39453 -0.21770 0.2 2.6 -0.4 -0.799
C -0.91936 0.43539 0.17345 -0.3 -0.6 0.1 -1.071
P 0.52892 1.35757 0.61362 0.7 0.0 -0.7 0.353
P -2.64809 0.53698 -0.38419 -0.6 1.1 -0.4 0.288
P 2.27295 0.24307 -0.24067 -0.2 -2.3 0.7 0.419
P -1.49205 -1.11858 0.45910 -0.1 0.7 0.5 0.458
H 2.38956 -2.26065 -0.36780 0.1 0.1 -0.2 0.229
H 0.68589 -1.51148 -0.24160 0.1 -0.6 0.4 0.188
H 0.77763 2.32329 -0.42438 -0.8 -0.1 0.3 -0.007
H -3.35785 1.38895 0.63017 0.8 -1.0 -0.2 -0.056
```
Positions in Å, forces in eV/Å.

ORCA calculation (ωB97M-V/def2-TZVPD) on a structure of composition C2H4S2 in a non-equilibrium geometry.

Calculated values
E_HOMO: -8.50 eV
F_max: 5.41 eV/A
Molecular weight: 92.2 g/mol

Geometry as XYZ:
```
8
Properties=species:S:1:pos:R:3:forces:R:3:nbo_charge:R:1
C -0.60366 -0.22026 -0.07237 0.1 -3.8 -0.3 -0.274
C 0.92913 -0.39844 -0.16046 -1.4 0.7 0.3 -0.669
S -1.82533 -1.45931 -0.38825 2.5 1.0 0.0 -0.114
S -1.61228 0.99364 0.28124 0.2 5.0 2.0 0.299
H -0.81332 2.41419 0.99799 -1.0 -2.8 -1.5 0.026
H 1.51267 0.09350 0.61966 -0.4 0.4 0.0 0.238
H 1.19158 0.00021 -1.12525 0.3 0.3 -0.4 0.249
H 1.22122 -1.42352 -0.15256 -0.3 -0.9 0.0 0.246
```
Positions in Å, forces in eV/Å.


Entry from the Open Molecules 2025 dataset: C27H50N7O3Si4Te2V as an isolated structure (the ωB97M-V functional and the def2-TZVPD basis).

The geometry in XYZ format:
```
94
C27H50N7O3Si4Te2V, DFT the ωB97M-V functional and the def2-TZVPD basis
V -1.402 0.382 -0.443
C -1.477 -2.938 -3.151
C -1.466 -1.496 -2.702
O -1.550 -1.300 -1.422
C -1.331 -0.465 -3.660
C -1.294 -0.725 -5.058
C -1.219 0.288 -5.982
C -1.188 1.624 -5.565
C -1.199 1.918 -4.212
C -1.241 0.910 -3.247
O -1.211 1.233 -1.964
H -1.500 -3.578 -2.271
H -0.575 -3.168 -3.723
H -2.346 -3.153 -3.779
H -1.333 -1.750 -5.403
H -1.186 0.048 -7.038
H -1.147 2.428 -6.289
H -1.164 2.946 -3.873
C 0.855 -5.079 2.518
Si 0.331 -3.935 1.088
C -1.502 -3.544 1.286
-- stop --
**The records of molecules stop here**
The survey, conducted annually by Blue Cross in partnership with the British Equine Veterinary Association, found that the five most frequently recorded individual disease syndromes were lameness (not laminitis), 26.1%; laminitis, 6.8%; sweet itch, 6.8%; mud fever, 6.8%; and pituitary pars intermedia dysfunction (PPID), or equine Cushing’s disease, 6.6%. Lameness, sweet itch and PPID also were in the top 5 in 2015.
According to a report prepared by Josh Slater, a member of BEVA’s Health and Medicines Committee and a professor at the Royal Veterinary College, 47.4% of lamenesses were recorded as proximal limb lameness, 31.9% were foot lamenesses other than laminitis, while another 20.7% were from laminitis. Degenerative joint disease, including the foot and proximal limb, is the most frequently reported cause of lameness at 41.2%. The joint most affected by degenerative joint disease (DJD) is the hock at 15.3% of all lameness.
Foot lameness, not including laminitis, more than doubled in 2016 to 10.5% from 4.5% in 2015. Pus in the foot was the most frequently recorded problem.
### Misplaced data records
-- begin --
# 1
Here is a molecular structure, C7H13N in a non-equilibrium geometry from the OMol25 dataset. Energies are from ωB97M-V with the def2-TZVPD basis set.

Properties
Orbital gap = 9.633 eV
LUMO level = 0.04144 Eh
Highest occupied orbital energy = -8.505 eV
Charge = 0
Energy relative to the best compared isomer or geometry (same formula, charge and spin) = 421.7 kJ/mol
F_max = 1.89 eV Å⁻¹

Geometry (Å):
C 0.29737 -1.20273 -0.97570
C -1.26053 -1.01190 -0.86188
C -1.83811 -0.14151 0.32008
C -0.60193 0.62341 0.61010
C 0.37628 1.79844 0.87678
C 1.40138 0.53740 0.67483
C 1.45022 -0.09886 -0.71045
H 0.53709 -2.06623 -0.31397
H 0.43533 -1.66124 -1.97835
H -1.51089 -0.57683 -1.83898
H -1.71710 -2.00536 -0.93055
H -2.68295 0.46412 -0.03543
H -2.18528 -0.78871 1.13019
H -0.38124 0.77965 -0.44712
H 0.38647 2.60107 0.11356
H 0.55945 2.21502 1.89921
H 2.38263 0.62246 1.13806
H 2.37100 -0.63958 -0.87932
H 1.39735 0.72827 -1.42658
H 0.24919 0.08964 2.29676
N 0.33428 -0.26651 1.33878

Atoms 1-6, force components in eV/Å:
0.76 -1.68 0.40
0.02 0.08 -0.77
-1.43 -0.50 -0.36
0.64 1.09 0.19
1.17 0.79 0.08
-1.07 0.82 0.91

Löwdin atomic charge list, values in e, 8 entries: -0.186 -0.185 -0.134 -0.385 -0.048 -0.274 -0.146 0.101

# 2
Here is a molecular structure, C51H56AsBrCsGe2I3N3O7S2 in a non-equilibrium geometry from the OMol25 dataset. Energies are from ωB97M-V with the def2-TZVPD basis set.

Properties
Orbital gap (alpha / beta) = 6.252 / 6.621 eV
Spin multiplicity = 2
LUMO level (alpha / beta) = 0.12852 / 0.12594 Eh
Highest occupied orbital energy (alpha / beta) = -2.755 / -3.194 eV
Charge = -2
Energy relative to the best compared isomer or geometry (same formula, charge and spin) = 0.0 kJ/mol
F_max = 1.62 eV Å⁻¹

Geometry (Å):
Cs 1.21544 0.88693 -2.70263
C 9.00948 0.08386 -0.74802
C 7.67319 0.75763 -0.90794
C 7.36420 1.90361 -0.18657
C 6.12477 2.51463 -0.30861
C 5.17330 1.98096 -1.15945
C 5.46387 0.83142 -1.87975
C 6.70619 0.23299 -1.76022
S 3.52807 2.68592 -1.28427
O 3.66744 4.00545 -0.67457
O 3.21277 2.65493 -2.71124
N 2.55881 1.71183 -0.58349
C 2.66039 1.56140 0.85611
C 2.05352 0.19156 1.16242
O 2.80828 -0.73834 1.48014
O 0.79978 0.07991 0.99957
H 9.82675 0.80637 -0.78617
H 9.17461 -0.65278 -1.53326
H 9.07720 -0.43494 0.21057
H 8.10482 2.32717 0.48326
H 5.88518 3.41397 0.24037
H 4.72066 0.40291 -2.53558
H 6.92098 -0.66221 -2.33042
H 2.10950 2.34866 1.39058
H 3.69860 1.57897 1.21408
S -1.33110 -0.01969 -4.18959
C -2.83729 -0.94616 -4.30558
C -3.30602 -1.34314 -5.56048
C -4.47029 -2.07151 -5.68117
C -5.19559 -2.40992 -4.54464
C -4.73670 -2.01459 -3.30018
C -3.55649 -1.28546 -3.16287
As -2.89671 -0.75174 -1.38756
C -4.23771 0.62576 -0.99192
C -4.09346 1.25685 0.24202
C -4.94648 2.27787 0.62503
C -5.94927 2.69968 -0.23900
C -6.08754 2.09225 -1.47658
C -5.23982 1.05729 -1.85092
C -3.71139 -2.23068 -0.38949
C -4.87711 -2.18140 0.35242
C -5.33406 -3.31380 1.01513
C -4.63040 -4.50258 0.93160
C -3.45437 -4.55655 0.19373
C -2.99275 -3.42444 -0.45246
-- stop --
“The data gleaned from the survey remains consistent year on year, confirming the reliability of our findings for benchmarking, referencing and research,” Slater wrote. “This year’s increase in overall lameness may be in part attributed to the higher incidence of pus in the foot, but may also be because owners are becoming more aware of lameness issues. Ongoing research on lameness has generated significant media coverage over the past year, helping to raise understanding of the importance of accurate diagnosis and treatment, both from welfare and performance perspectives.”
[What comes next are quantum chemistry results, not part of the piece]
# 1
DFT (ωB97M-V/def2-TZVPD) results for a molecular structure, C27H21GeN3O3ReSSbSe4.

XYZ file:
```
62
Properties=species:S:1:pos:R:3:nbo_charge:R:1
Re 0.51 -0.96 -0.87 0.23
Se 2.58 -3.44 -4.71 -0.20
Sb 2.69 -3.44 -2.43 1.01
Se -0.27 -2.81 -1.78 0.19
Se 2.53 -0.63 -1.82 0.07
Se 3.34 -4.46 -0.48 -0.32
O 2.82 -0.98 5.76 -0.50
S 4.04 -1.46 6.97 1.81
O 4.30 -2.83 6.73 -0.76
O 2.79 -1.38 8.13 -0.59
C 1.58 -1.49 7.60 0.70
N 0.51 -1.72 8.30 -0.36
C -0.63 -1.77 7.62 0.17
C -0.70 -1.60 6.22 -0.25
C 0.46 -1.36 5.51 0.24
N 1.59 -1.31 6.25 -0.04
C 0.51 -1.19 4.04 -0.02
C -0.49 -0.45 3.41 -0.15
C -0.47 -0.34 2.03 0.08
N 0.45 -0.94 1.28 -0.53
C 1.41 -1.67 1.88 0.08
C 1.49 -1.80 3.25 -0.19
H -1.53 -1.95 8.19 0.26
H -1.65 -1.69 5.72 0.27
H -1.25 0.06 3.97 0.25
H -1.22 0.25 1.51 0.25
H 2.12 -2.17 1.23 0.25
H 2.28 -2.41 3.67 0.26
C -0.43 3.03 1.43 -0.15
C 0.76 2.65 0.84 -0.21
C 0.74 1.91 -0.34 -0.23
C -0.47 1.50 -0.90 -0.48
C -1.68 1.87 -0.27 -0.22
C -1.65 2.66 0.86 -0.20
Ge -0.54 0.67 -2.69 1.59
C 0.62 1.47 -4.02 -0.42
C 1.50 0.76 -4.83 -0.25
C 2.22 1.41 -5.81 -0.18
C 2.06 2.77 -6.00 -0.16
C 1.18 3.49 -5.21 -0.18
C 0.46 2.84 -4.21 -0.23
C -2.24 0.00 -3.27 -0.56
C -2.56 0.17 -4.62 -0.17
C -3.77 -0.28 -5.12 -0.19
C -4.68 -0.91 -4.28 -0.14
C -4.37 -1.09 -2.93 -0.22
C -3.17 -0.64 -2.43 -0.15
H -0.42 3.66 2.31 0.25
H 1.70 2.98 1.25 0.25
H 1.68 1.73 -0.86 0.24
H -2.63 1.61 -0.71 0.25
H -2.58 3.01 1.30 0.25
H 1.61 -0.32 -4.71 0.21
H 2.90 0.85 -6.44 0.24
H 2.63 3.28 -6.77 0.24
H 1.06 4.55 -5.36 0.24
H -0.22 3.42 -3.60 0.22
H -1.86 0.66 -5.29 0.23
H -4.01 -0.14 -6.17 0.25
H -5.62 -1.26 -4.67 0.25
H -5.08 -1.58 -2.28 0.24
H -2.94 -0.80 -1.38 0.18
```

## Properties
**<S²>**: 0.77
**HOMO-LUMO gap (alpha / beta)**: 5.45 / 5.89 eV
**Energy above the lowest of the compared OMol25 structures with the same formula, charge and spin**: 0.00 kcal per mole
**Total charge**: +3
**2S+1**: 2



# 2
DFT (ωB97M-V/def2-TZVPD) results for 4 unconnected molecules or ions with the total composition C11H14BF4O13S in a non-equilibrium geometry.

XYZ file:
```
44
Properties=species:S:1:pos:R:3:nbo_charge:R:1
O -3.11 -3.00 2.29 -0.94
S -3.79 -1.84 1.82 2.36
O -3.08 -0.97 0.93 -0.96
F -4.12 -0.96 3.07 -0.47
C -5.41 -2.22 1.11 -0.16
C -6.35 -3.08 2.02 -0.08
O -7.53 -2.38 2.11 -0.71
B -7.12 -0.94 2.01 0.42
O -6.08 -1.03 0.92 -0.69
H -5.19 -2.65 0.13 0.20
H -5.88 -3.29 3.00 0.16
H -6.54 -4.03 1.51 0.16
H -6.63 -0.60 3.10 -0.16
H -8.01 -0.16 1.70 -0.12
C -0.85 1.72 1.97 -0.13
C -2.22 1.97 2.56 0.44
O -2.23 3.39 2.71 -0.49
C -1.40 3.91 1.77 0.97
O -1.35 5.05 1.46 -0.58
O -0.63 2.94 1.23 -0.50
F -2.36 1.42 3.79 -0.32
H -0.09 1.63 2.74 0.20
H -0.82 0.86 1.32 0.23
H -3.05 1.66 1.93 0.18
C 2.94 2.50 -0.80 -0.13
C 2.90 1.45 -1.90 0.44
O 2.78 0.25 -1.17 -0.51
C 2.16 0.55 0.02 0.97
O 1.69 -0.26 0.74 -0.54
O 2.17 1.88 0.22 -0.47
F 4.05 1.41 -2.62 -0.34
H 3.97 2.64 -0.45 0.20
H 2.51 3.45 -1.08 0.22
H 2.06 1.54 -2.59 0.16
C 6.01 -0.94 -3.08 -0.13
C 6.10 -1.42 -4.52 0.45
O 7.49 -1.40 -4.76 -0.50
The survey experienced a 13.8% increase in participation over 2015. Some 5,635 people took part in the 2016 survey, and included 16,751 horses — an increase of 12% over 2015.
“The significant increase in participation again this year shows that owners and keepers of horses are really getting behind the survey and recognizing its importance in safeguarding the future health of the UK’s horses,” says Gemma Taylor, education officer at Blue Cross. “Over the past year, NEHS data has been referred to in leading equestrian and veterinary media, showing its credibility as a valuable benchmarking reference.”
Among other distal limb-related findings:
• 42% of laminitis cases were first episodes, while 58% were repeat episodes. These results were similar to previous years — 41% first episodes and 60% repeat episodes in 2015; 43% first episodes and 67% repeat episodes in 2014.
• Flexor tendon injuries and suspensory ligament injuries were reported with a prevalence of 1.6% and 2% respectively (accounting for 5% and 6.1% of all lameness reported).
• The prevalence of different causes of lameness was consistent across different disciplines with a similar prevalence of laminitis, foot lameness, flexor tendon injury, suspensory ligament injury and degenerative joint disease in horses used mainly for hacking, leisure riding and dressage.
• The prevalence of different causes of lameness was similar in horses used for different activities. In horses whose main use was hacking, laminitis had a prevalence of 10.5%, foot lameness (not laminitis) was 18.5%; flexor tendon and suspensory ligament injuries had a prevalence of 4.9% and proximal limb DJD had a prevalence of 16.8%. For leisure riding, these figures were 9.8% (laminitis), 15.9% (foot, not laminitis), 4.7% (flexor tendon and suspensory) and 26.5% (proximal limb DJD). For dressage, these figures were 7.9% (laminitis), 20% (foot, not laminitis), 3.8% (flexor tendon and suspensory) and 17.5% (proximal limb DJD).